-- Excerpt --
____________
The following is a DFT calculation (GGA-PBE) of RbTmAgSe3 after structural relaxation.

* size of the total moment: 0.1 μB per formula unit
* total energy: -50.786 eV for the cell shown
* space-group type: No. 63

Lattice parameters (Å, degrees): 8.1064 8.1064 10.6654 90.00 90.00 150.87
Element x y z (fractional)
1 Se 0.6239 0.3761 0.4564
2 Se 0.9289 0.0711 0.2500
3 Rb 0.7515 0.2485 0.7500
4 Tm 0.0000 0.0000 0.5000
5 Ag 0.4640 0.5360 0.7500
6 Rb 0.2485 0.7515 0.2500
7 Se 0.3761 0.6239 0.9564
8 Ag 0.5360 0.4640 0.2500
9 Se 0.0711 0.9289 0.7500
10 Tm 0.0000 0.0000 0.0000
11 Se 0.3761 0.6239 0.5436
12 Se 0.6239 0.3761 0.0436

----------

Entry 1:
Here is a geometry-optimized Rb2ZnSF6 structure from Alexandria via LeMat-Bulk. Energies are from PBE.

Summary:
Mass density in g cm⁻³: 3.6
E_form (uncorrected) in meV/atom: -2097.6

Cell lengths 5.7954, 5.7954, 10.4048 Å; angles 90.00, 90.00, 90.00 degrees
With the nearest neighbours (Å) after each atom.
Space group I4/mmm (No. 139)
Symmetry-distinct sites (fractional):
Rb1 0.0000 0.5000 0.2500  12 F 2.98-3.31
Zn1 0.0000 0.0000 0.0000  2 F 1.90
S1 0.0000 0.0000 0.5000  4 F 1.93
F1 0.0000 0.0000 0.1829  1 Zn 1.90
F2 0.2351 0.2351 0.5000  1 S 1.93

Entry 2:
Here is a geometry-optimized Ba2HfSnMo structure from Alexandria via LeMat-Bulk. Energies are from PBE.

Summary:
Mass density in g cm⁻³: 5.6

Cell lengths 6.0277, 6.0277, 5.4329 Å; angles 90.00, 90.00, 90.00 degrees
With the nearest neighbours (Å) after each atom.
Space group P4/mmm (No. 123)
Symmetry-distinct sites (fractional):
Ba1 0.0000 0.5000 0.0000  2 Hf 3.01
Hf1 0.0000 0.0000 0.0000  2 Sn 2.72, 4 Ba 3.01
Sn1 0.0000 0.0000 0.5000  2 Hf 2.72
Mo1 0.5000 0.5000 0.5000  8 Ba 4.06, 4 Sn 4.26

Entry 3:
Here is a geometry-optimized BaZnCr4 structure from Alexandria via LeMat-Bulk. Energies are from PBE.

Summary:
Mass density in g cm⁻³: 7.0

Cell lengths 7.2877, 7.2877, 7.2877 Å; angles 90.00, 90.00, 90.00 degrees
With the nearest neighbours (Å) after each atom.
Space group F-43m (No. 216)
Symmetry-distinct sites (fractional):
Ba1 0.0000 0.0000 0.0000  12 Cr 3.03, 4 Zn 3.16
Zn1 0.2500 0.2500 0.2500  12 Cr 3.01, 4 Ba 3.16
Cr1 0.1217 0.1217 0.6217  6 Cr 2.51-2.64

Entry 4:
Here is a geometry-optimized MgFeSn2 structure from Alexandria via LeMat-Bulk. Energies are from PBE.

Summary:
Mass density in g cm⁻³: 6.4

Cell lengths 3.3473, 3.3473, 25.5957 Å; angles 90.00, 90.00, 120.00 degrees
With the nearest neighbours (Å) after each atom.
Space group R-3m (No. 166, hexagonal axes)
Symmetry-distinct sites (fractional):
Mg1 0.0000 0.0000 0.0000  6 Sn 3.10, 6 Mg 3.35
Fe1 0.0000 0.0000 0.5000  6 Sn 2.67
Sn1 0.0000 0.0000 0.2389  3 Fe 2.67

Entry 5:
Here is a geometry-optimized BiPdPtAu structure from Alexandria via LeMat-Bulk. Energies are from PBE.

Summary:
Mass density in g cm⁻³: 15.6

Cell lengths 6.7090, 6.7090, 6.7090 Å; angles 90.00, 90.00, 90.00 degrees
With the nearest neighbours (Å) after each atom.
Space group F-43m (No. 216)
Symmetry-distinct sites (fractional):
Bi1 0.0000 0.0000 0.0000  4 Pt 2.91, 4 Pd 2.91
Pd1 0.2500 0.2500 0.7500  4 Bi 2.91, 4 Au 2.91
Pt1 0.2500 0.2500 0.2500  4 Bi 2.91, 4 Au 2.91
Au1 0.0000 0.0000 0.5000  4 Pd 2.91, 4 Pt 2.91

Entry 6:
Here is a geometry-optimized FeCuSi2 structure from Alexandria via LeMat-Bulk. Energies are from PBE.

Summary:
Mass density in g cm⁻³: 6.0
E_form (uncorrected) in meV/atom: -197.8

Cell lengths 2.7320, 4.2585, 8.4810 Å; angles 90.00, 99.26, 90.00 degrees
With the nearest neighbours (Å) after each atom.
Space group P2_1/m (No. 11)
Symmetry-distinct sites (fractional):
Fe1 0.1575 0.2500 0.3143  6 Si 2.34-2.45
Cu1 0.3934 0.2500 0.7894  5 Si 2.37-2.49
Si1 0.2295 0.7500 0.4590  4 Fe 2.34-2.45, 2 Cu 2.49
Si2 0.4573 0.7500 0.9148  2 Fe 2.35, 3 Cu 2.37-2.48, 2 Si 2.56

Entry 7:
Here is a geometry-optimized Na3VGe structure from Alexandria via LeMat-Bulk. Energies are from PBE.

Summary:
Mass density in g cm⁻³: 1.9
Energy above the most stable polymorph in this dataset in meV/atom: 0
____________

-- What to do --
Please write out only the lines further above with the word "Fe" in them.

-- Reply --
Sn1 0.0000 0.0000 0.2389  3 Fe 2.67
Si1 0.2295 0.7500 0.4590  4 Fe 2.34-2.45, 2 Cu 2.49
Si2 0.4573 0.7500 0.9148  2 Fe 2.35, 3 Cu 2.37-2.48, 2 Si 2.56